
Saturday, November 19, 2011

Crafting ornaments for Mary Hidden in Advent

     Since I was asked if I had created any ornaments to go with the Mary Hidden in Advent series, I will now confess to all--I am totally craft-challenged. Why did I ever say I would post ornaments as I made them??? Did I hope no one would read that?  Did I just have a wild flight of fancy, thinking I would suddenly become crafty? No? Too bad!  But I will share with you what we are doing here, and maybe it will help those who, like myself, can just barely glue!
     Above is the set we are using (mostly) for the Bible stories.  This set is sold by Leaflet Missal for around $21.00.  You have to assemble the figures using the provided pattern, felt (provided also), and glue. If I can do it, so can you. Truly.  There are a few stories we will cover that aren't in this kit, so when we get there I will (hopefully!) post pictures of what I come up with to represent those stories.

As far as the Marian ornaments, I'm making those this year as I go along.  We will review them and hang them on our main tree when it goes up (Gaudete Sunday).  This is what I have, but if anyone else has a better thought, please contribute it on your blog! I will apologize in advance for the quality of the pictures below; my camera is out-of-order so I used my phone, which tends to be a little bit dark. 

I like to use what I have around and I have been collecting can lids (I use an Oxo can opener that creates a smooth lid edge, but is not so great if you want to drain your tuna...). I also have a miser's hoard of cardboard Amazon boxes, so I begin with:

Step One: Collect jar lids, cardboard, or whatever for a backing:

Step two: Print out the Marian pictures from the lessons and cut them to fit whatever size/shape of cardboard or jar lid you like.  (Really, you don't need a picture for this one.) I used photo paper to get a better quality image and a bit of shine. I copied some of the images onto a Word document and reduced the sizes to 2 1/2"-3" across. 

Step three:  Spray painting everything gold:

Step four:  Glue the Marian pictures to the golden lids and rectangles with Mod Podge, and you can cover them with Mod Podge, too, for a decoupage effect:
ETA:  I decided not to Mod Podge the rest of the ornaments.  If they are printed on photo paper, it isn't necessary at all.  Also, I found it best to glue the hanging ribbons between the cardboard and the picture.

Step five:  Add ribbon, beads, etc. to complete the ornament: 
ETA:  Glue ribbon between cardboard and picture.

_Misplaced materials data_
{
  "formula": "La12Ga23WO56",
  "functional": "GGA+U",
  "state": "relaxed",
  "cell": [[9.776, 0.000, 0.000], [-0.795, 9.750, 0.000], [-1.929, -2.101, 12.945]],
  "species": ["La", "La", "La", "La", "La", "La", "La", "La", "La", "La", "La", "La", "Ga", "Ga", "Ga", "Ga", "Ga", "Ga", "Ga", "Ga", "Ga", "Ga", "Ga", "Ga", "Ga", "Ga", "Ga", "Ga", "Ga", "Ga", "Ga", "Ga", "Ga", "Ga", "Ga", "W", "O", "O", "O", "O", "O", "O", "O", "O", "O", "O", "O", "O", "O", "O", "O", "O", "O", "O", "O", "O", "O", "O", "O", "O", "O", "O", "O", "O", "O", "O", "O", "O", "O", "O", "O", "O", "O", "O", "O", "O", "O", "O", "O", "O", "O", "O", "O", "O", "O", "O", "O", "O", "O", "O", "O", "O"],
  "frac_coords": [[0.000, 0.000, 0.000], [0.024, 0.605, 0.814], [0.170, 0.331, 0.251], [0.238, 0.254, 0.743], [0.273, 0.854, 0.562], [0.419, 0.581, 0.000], [0.498, 0.499, 0.497], [0.524, 0.105, 0.313], [0.673, 0.819, 0.744], [0.750, 0.751, 0.251], [0.783, 0.364, 0.073], [0.919, 0.079, 0.497], [0.012, 0.931, 0.736], [0.065, 0.645, 0.354], [0.073, 0.652, 0.110], [0.117, 0.362, 0.973], [0.117, 0.462, 0.538], [0.130, 0.949, 0.288], [0.266, 0.178, 0.487], [0.313, 0.896, 0.861], [0.314, 0.895, 0.104], [0.361, 0.613, 0.720], [0.368, 0.711, 0.288], [0.376, 0.199, 0.044], [0.517, 0.431, 0.238], [0.572, 0.152, 0.603], [0.614, 0.859, 0.470], [0.618, 0.955, 0.043], [0.632, 0.455, 0.786], [0.765, 0.676, 0.985], [0.815, 0.395, 0.603], [0.821, 0.401, 0.361], [0.864, 0.111, 0.220], [0.874, 0.213, 0.786], [0.880, 0.697, 0.537], [0.564, 0.145, 0.854], [0.004, 0.506, 0.636], [0.023, 0.274, 0.058], [0.047, 0.315, 0.831], [0.051, 0.090, 0.220], [0.057, 0.715, 0.505], [0.098, 0.458, 0.397], [0.105, 0.021, 0.651], [0.108, 0.833, 0.088], [0.120, 0.554, 0.987], [0.120, 0.558, 0.219], [0.121, 0.852, 0.835], [0.136, 0.027, 0.429], [0.161, 0.285, 0.570], [0.248, 0.046, 0.022], [0.254, 0.757, 0.385], [0.277, 0.520, 0.808], [0.296, 0.565, 0.580], [0.303, 0.336, 0.970], [0.307, 0.965, 0.254], [0.348, 0.709, 0.146], [0.354, 0.267, 0.399], [0.367, 0.080, 0.835], [0.371, 0.807, 0.739], [0.377, 0.103, 0.588], [0.378, 0.811, 0.970], [0.386, 0.279, 0.181], [0.410, 0.534, 0.319], [0.500, 0.297, 0.785], [0.502, 0.013, 0.133], [0.529, 0.775, 0.562], [0.545, 0.814, 0.330], [0.550, 0.591, 0.721], [0.554, 0.218, 0.997], [0.604, 0.968, 0.897], [0.605, 0.514, 0.147], [0.607, 0.336, 0.594], [0.613, 0.060, 0.722], [0.620, 0.052, 0.486], [0.625, 0.351, 0.336], [0.635, 0.524, 0.927], [0.660, 0.780, 0.069], [0.746, 0.549, 0.528], [0.750, 0.248, 0.885], [0.776, 0.023, 0.308], [0.792, 0.065, 0.079], [0.802, 0.840, 0.471], [0.810, 0.461, 0.757], [0.843, 0.206, 0.646], [0.849, 0.767, 0.896], [0.858, 0.582, 0.338], [0.868, 0.304, 0.237], [0.872, 0.308, 0.470], [0.876, 0.600, 0.085], [0.884, 0.777, 0.678], [0.907, 0.035, 0.819], [0.997, 0.799, 0.278]],
  "formation_enthalpy_0k_mev_per_atom": -2815,
  "spacegroup": "P1, No. 1"
}


Density functional theory data (r²SCAN) for a relaxed Er2ZnAg crystal.

a b c (Å): 5.0109 5.0109 5.0109

     I think I still want to add blue beads around the edge of the New Eve ornament.  But the Mystical Rose ornament is complete:

The Mod Podge works well to glue the hanger ribbon to the cardboard, but I think a hot glue gun would have been better on the metal.(ETA:  yeah, that would definitely be easier!)  I did use Mod Podge and I'll let you know if the ribbon detaches.  Also, the edges of the cardboard ornaments would look a lot nicer with golden cording glued to them or beads, but they are not noticeable from the front.  I'm just leaving mine plain.  No one is going to inspect them, right?  Right???

ETA:  Well, I could see the edges, so I did end up putting ribbon or glitter glue on them!

So, voila! ornaments with a lovely pictures of Our Lady on them.  We are looking forward to hanging these on our tree!  Hope this inspires you!

Here are a few more pictures (not too clear, I'll try to upgrade them later) of the tree we have our Mary ornaments hanging on.  ETA: You can see that we also cut some of the pictures into shapes suggested by the pictures themselves.  I don't know if you can see it, but the Annuniciation picture we made into a little book, with "Ave Maria" printed on the back!  These were so fun for the whole family to make!


  1. I think they are lovely! Every entry you have posted a lovely image and I was wondering if that was what you were doing -- and voila! you are.

  2. Wow, these are beautiful! Thanks for the pictures, they really are lovely!!
